**Job**
Next, search the lines underneath for the word "lowdin_charge" and transcribe each line that has it.

**Contents**
No. 1
DFT (wB97M-V/def2-TZVPD) results for C33H40N11OP2STi as an isolated structure.

```
89
Properties=species:S:1:pos:R:3:forces:R:3:lowdin_charge:R:1
Ti -0.61623 0.30739 -0.07355 0.23 0.56 0.47 0.9898
O 1.58757 0.06029 -3.00045 -0.95 0.20 0.13 0.0840
C 0.60787 0.48139 -2.40165 1.29 0.99 -1.36 -0.4941
N -0.39723 -0.24571 -1.87865 -0.47 -1.08 0.31 -0.0901
C -0.59703 -1.56601 -2.42145 0.06 -0.55 -0.35 -0.1348
C -1.42363 -2.34731 -1.45745 -0.05 -0.15 -0.34 -0.2578
C -1.98023 -3.58211 -1.78665 0.04 0.25 0.20 0.0158
C -2.79273 -4.22141 -0.87125 0.12 0.22 -0.01 0.0036
C -3.04923 -3.58111 0.33555 0.14 0.18 -0.03 -0.0072
C -2.46783 -2.35351 0.57925 -0.30 -0.14 0.45 -0.1016
N -1.64653 -1.74251 -0.28405 0.30 0.22 -0.35 0.0406
C 0.28947 1.93629 -2.24935 0.19 0.48 -0.58 -0.1904
C 0.75907 2.90039 -3.13295 -0.07 -0.31 0.34 0.0528
C 0.19067 4.16469 -3.08245 -0.13 -0.14 0.26 0.0151
C -0.80663 4.40689 -2.14535 0.11 -0.27 -0.04 0.0086
C -1.18873 3.38909 -1.28165 -0.23 0.23 0.22 -0.0927
N -0.65743 2.17079 -1.33335 0.50 -0.26 -0.47 0.0180
H 0.36907 -2.04971 -2.63935 -0.34 0.13 0.08 0.0858
H -1.13333 -1.48091 -3.38245 0.15 -0.01 0.20 0.1660
H -1.79033 -4.01601 -2.75395 0.10 -0.05 -0.16 0.1366
H -3.23483 -5.17991 -1.09545 -0.03 -0.08 -0.03 0.1329
H -3.69613 -4.02701 1.07195 -0.08 -0.01 0.12 0.1232
H -2.68913 -1.83321 1.50655 0.12 -0.04 -0.10 0.1111
H 1.51467 2.63859 -3.85675 0.06 -0.05 -0.06 0.1385
H 0.50157 4.93339 -3.77105 0.04 0.12 -0.07 0.1330
H -1.28723 5.36859 -2.08795 -0.11 0.11 0.03 0.1268
H -1.95313 3.56019 -0.52925 0.08 -0.05 -0.03 0.1298
C -5.62433 1.73179 1.76445 -0.66 0.25 0.70 0.0014
N -4.57353 1.32279 0.86815 0.92 -0.24 -0.19 -0.1002
C -4.72163 1.05039 -0.45325 0.38 -0.20 -0.64 0.0108
C -3.48133 0.72059 -0.93055 -0.63 0.00 -0.47 -0.0745
N -2.58583 0.78429 0.09125 -0.81 0.39 0.52 -0.0685
C -3.27043 1.14989 1.17875 -0.05 0.15 0.59 -0.4063
P -2.57373 1.47229 2.85355 0.48 -0.19 -0.51 1.2409
C -1.21343 2.53079 2.23815 -0.30 -0.26 0.09 -0.4282
N -0.38743 2.16919 1.25715 -0.37 0.05 0.26 -0.0600
C 0.50557 3.18689 1.13165 0.21 0.45 0.19 -0.1419
C 0.21227 4.16169 2.04605 0.49 -0.16 -0.50 0.0004
N -0.86973 3.73389 2.73995 -0.01 -0.47 -0.51 -0.1060
C -1.48513 4.43849 3.83155 -0.33 0.37 0.81 0.0024
C -1.46813 0.00449 2.90605 -0.41 0.36 0.11 -0.4240
N -0.69423 -0.41171 1.89595 -0.27 -0.15 0.68 -0.0928
C 0.01457 -1.46891 2.37205 0.28 -0.56 0.43 -0.1177
C -0.32503 -1.68711 3.67985 0.41 -0.18 -0.44 0.0134
N -1.25513 -0.75161 4.00355 0.03 0.16 -1.02 -0.0996
C -1.83373 -0.58541 5.31075 -0.31 0.18 0.95 0.0046
H -6.54243 1.87759 1.19835 0.09 -0.05 0.02 0.1131
H -5.36913 2.67259 2.25335 -0.01 -0.05 -0.08 0.0992
H -5.79343 0.97319 2.53025 -0.03 0.03 -0.11 0.1086
H -5.66693 1.09989 -0.95965 -0.13 0.06 0.00 0.1471
H -3.18783 0.45609 -1.93385 -0.05 -0.01 0.06 0.1302
H 1.29967 3.17219 0.40725 0.02 0.02 -0.02 0.1036
H 0.69047 5.09989 2.24015 0.08 0.20 0.09 0.1436
H -1.30733 5.50589 3.71645 -0.07 -0.06 -0.05 0.1124
H -1.05823 4.12309 4.78405 0.01 0.00 -0.04 0.1123
H -2.55733 4.25209 3.85095 0.04 0.06 -0.05 0.0860
H 0.71627 -1.99581 1.74955 0.02 -0.07 0.03 0.0546
H 0.02127 -2.41631 4.38705 0.06 -0.09 0.08 0.1480
H -1.96903 -1.55971 5.78005 -0.04 0.06 -0.12 0.1147
H -2.79893 -0.08231 5.24585 0.10 -0.10 -0.04 0.0822
H -1.16813 0.00629 5.94285 -0.05 -0.03 -0.07 0.1157
N 4.34007 1.42469 0.68385 0.09 -0.04 -0.02 0.1414
C 3.37487 1.08439 -0.16565 -0.24 0.41 -0.59 -0.8084
N 3.52747 1.28649 -1.46645 0.15 0.12 0.06 0.1679
S 1.95367 0.44179 0.53795 -0.17 -0.12 0.61 0.7495
H 5.24487 1.74879 0.37605 0.00 -0.07 -0.04 0.1374
H 4.19377 1.29009 1.67045 0.01 0.05 0.01 0.1110
H 4.42477 1.59029 -1.81515 0.06 0.02 0.01 0.1378
H 2.93527 0.79959 -2.14745 0.10 0.11 0.25 0.0696
C 2.93437 -3.05001 0.83885 -0.18 0.23 -0.19 -0.2716
P 1.89937 -2.54811 -0.61565 0.30 -1.00 -0.03 0.8851
C 1.41697 -4.26051 -1.13165 0.13 0.21 0.10 -0.2526
C 3.22057 -2.22811 -1.85385 -0.23 0.11 0.23 -0.3909
C 3.04367 -2.56751 -3.19305 0.13 -0.11 0.08 -0.1078
C 4.04377 -2.33351 -4.11905 -0.03 0.05 -0.08 -0.0528

**Written answer**
Properties=species:S:1:pos:R:3:forces:R:3:lowdin_charge:R:1